Data >
+++
Record 1
Theoretical X-ray diffraction stick pattern
Compound: LiMgH6Ir
Radiation: Cu Kα (weighted mean of Kα1 and Kα2)
Structure: a cell relaxed with PBE
No peak broadening, texture or thermal motion is included.

Top 10 peaks for 10° ≤ 2θ ≤ 90°, by intensity:
2θ 23.1, intensity 100; 2θ 38.2, intensity 54; 2θ 45.1, intensity 51; 2θ 26.8, intensity 38; 2θ 60.6, intensity 21; 2θ 69.1, intensity 19; 2θ 86.4, intensity 16; 2θ 73.9, intensity 16; 2θ 62.3, intensity 14; 2θ 55.1, intensity 10

Cell and atoms:
```
data_LiMgH6Ir
_chemical_formula_sum 'Li4 Mg4 H24 Ir4'
_symmetry_space_group_name_H-M 'P 1'
_symmetry_Int_Tables_number 1
_symmetry_space_group_name_Hall 'P 1'
_cell_length_a 6.663
_cell_length_b 6.663
_cell_length_c 6.663
_cell_angle_alpha 90.00
_cell_angle_beta 90.00
_cell_angle_gamma 90.00
loop_
_atom_site_label
_atom_site_type_symbol
_atom_site_fract_x
_atom_site_fract_y
_atom_site_fract_z
Li1 Li 0.000 0.000 0.000
Li2 Li 0.000 0.000 0.500
Li3 Li 0.000 0.500 0.000
Li4 Li 0.500 0.000 0.000
Mg1 Mg 0.000 0.500 0.500
Mg2 Mg 0.500 0.000 0.500
Mg3 Mg 0.500 0.500 0.000
Mg4 Mg 0.500 0.500 0.500
H1 H 0.007 0.250 0.250
H2 H 0.007 0.750 0.750
H3 H 0.248 0.248 0.507
H4 H 0.248 0.493 0.752
H5 H 0.248 0.507 0.248
H6 H 0.248 0.752 0.493
H7 H 0.250 0.007 0.250
H8 H 0.250 0.250 0.007
H9 H 0.250 0.750 0.993
H10 H 0.250 0.993 0.750
H11 H 0.493 0.248 0.752
H12 H 0.493 0.752 0.248
H13 H 0.507 0.248 0.248
H14 H 0.507 0.752 0.752
H15 H 0.750 0.007 0.750
H16 H 0.750 0.250 0.993
H17 H 0.750 0.750 0.007
H18 H 0.750 0.993 0.250
H19 H 0.752 0.248 0.493
H20 H 0.752 0.493 0.248
H21 H 0.752 0.507 0.752
H22 H 0.752 0.752 0.507
H23 H 0.993 0.250 0.750
H24 H 0.993 0.750 0.250
Ir1 Ir 0.257 0.257 0.257
Ir2 Ir 0.257 0.743 0.743
Ir3 Ir 0.743 0.257 0.743
Ir4 Ir 0.743 0.743 0.257
```

***

Record 2
Theoretical X-ray diffraction stick pattern
Compound: Cs2HgCl4
Radiation: Cu Kα (weighted mean of Kα1 and Kα2)
Structure: a cell relaxed with PBE
No peak broadening, texture or thermal motion is included.

Top 10 peaks for 10° ≤ 2θ ≤ 90°, by intensity:
2θ 22.3, intensity 100; 2θ 22.6, intensity 81; 2θ 29.7, intensity 74; 2θ 21.9, intensity 64; 2θ 15.7, intensity 44; 2θ 29.5, intensity 43; 2θ 34.9, intensity 28; 2θ 19.2, intensity 25; 2θ 31.6, intensity 25; 2θ 26.2, intensity 25

Cell and atoms:
```
data_Cs2HgCl4
_chemical_formula_sum 'Cs8 Hg4 Cl16'
_symmetry_space_group_name_H-M 'P 1'
_symmetry_Int_Tables_number 1
_symmetry_space_group_name_Hall 'P 1'
_cell_length_a 7.874
_cell_length_b 10.039
_cell_length_c 13.863
_cell_angle_alpha 90.00
_cell_angle_beta 90.00
_cell_angle_gamma 90.00
loop_
_atom_site_label
_atom_site_type_symbol
_atom_site_fract_x
_atom_site_fract_y
_atom_site_fract_z
Cs1 Cs 0.001 0.235 0.178
Cs2 Cs 0.002 0.371 0.591
Cs3 Cs 0.498 0.629 0.091
Cs4 Cs 0.499 0.765 0.678
Cs5 Cs 0.501 0.265 0.822
Cs6 Cs 0.502 0.129 0.409
Cs7 Cs 0.998 0.871 0.909
Cs8 Cs 0.999 0.735 0.322
Hg1 Hg 0.003 0.466 0.923
Hg2 Hg 0.497 0.534 0.423
Hg3 Hg 0.503 0.034 0.077
Hg4 Hg 0.997 0.966 0.577
Cl1 Cl 0.011 0.073 0.411
Cl2 Cl 0.036 0.218 0.919
Cl3 Cl 0.233 0.428 0.348
Cl4 Cl 0.246 0.064 0.666
Cl5 Cl 0.254 0.936 0.166
Cl6 Cl 0.267 0.572 0.848
Cl7 Cl 0.464 0.782 0.419
Cl8 Cl 0.489 0.927 0.911
Cl9 Cl 0.511 0.427 0.589
Cl10 Cl 0.536 0.282 0.081
Cl11 Cl 0.733 0.072 0.652
Cl12 Cl 0.746 0.436 0.334
Cl13 Cl 0.754 0.564 0.834
Cl14 Cl 0.767 0.928 0.152
Cl15 Cl 0.964 0.718 0.581
Cl16 Cl 0.989 0.573 0.089
```

***

Record 3
Theoretical X-ray diffraction stick pattern
Compound: AlInSb2
Radiation: Cu Kα (weighted mean of Kα1 and Kα2)
Structure: a cell relaxed with PBE
No peak broadening, texture or thermal motion is included.

Top 10 peaks for 10° ≤ 2θ ≤ 90°, by intensity:
2θ 24.0, intensity 100; 2θ 39.7, intensity 48; 2θ 46.8, intensity 32; 2θ 39.6, intensity 25; 2θ 72.0, intensity 16; 2θ 47.1, intensity 15; 2θ 63.1, intensity 12; 2θ 31.1, intensity 9; 2θ 57.3, intensity 8; 2θ 19.5, intensity 8

Cell and atoms:
```
data_AlInSb2
_chemical_formula_sum 'Al1 In1 Sb2'
+++

Assignment >
Duplicate the whole of the calculation results above verbatim.

Response >
Record 1
Theoretical X-ray diffraction stick pattern
Compound: LiMgH6Ir
Radiation: Cu Kα (weighted mean of Kα1 and Kα2)
Structure: a cell relaxed with PBE
No peak broadening, texture or thermal motion is included.

Top 10 peaks for 10° ≤ 2θ ≤ 90°, by intensity:
2θ 23.1, intensity 100; 2θ 38.2, intensity 54; 2θ 45.1, intensity 51; 2θ 26.8, intensity 38; 2θ 60.6, intensity 21; 2θ 69.1, intensity 19; 2θ 86.4, intensity 16; 2θ 73.9, intensity 16; 2θ 62.3, intensity 14; 2θ 55.1, intensity 10

Cell and atoms:
```
data_LiMgH6Ir
_chemical_formula_sum 'Li4 Mg4 H24 Ir4'
_symmetry_space_group_name_H-M 'P 1'
_symmetry_Int_Tables_number 1
_symmetry_space_group_name_Hall 'P 1'
_cell_length_a 6.663
_cell_length_b 6.663
_cell_length_c 6.663
_cell_angle_alpha 90.00
_cell_angle_beta 90.00
_cell_angle_gamma 90.00
loop_
_atom_site_label
_atom_site_type_symbol
_atom_site_fract_x
_atom_site_fract_y
_atom_site_fract_z
Li1 Li 0.000 0.000 0.000
Li2 Li 0.000 0.000 0.500
Li3 Li 0.000 0.500 0.000
Li4 Li 0.500 0.000 0.000
Mg1 Mg 0.000 0.500 0.500
Mg2 Mg 0.500 0.000 0.500
Mg3 Mg 0.500 0.500 0.000
Mg4 Mg 0.500 0.500 0.500
H1 H 0.007 0.250 0.250
H2 H 0.007 0.750 0.750
H3 H 0.248 0.248 0.507
H4 H 0.248 0.493 0.752
H5 H 0.248 0.507 0.248
H6 H 0.248 0.752 0.493
H7 H 0.250 0.007 0.250
H8 H 0.250 0.250 0.007
H9 H 0.250 0.750 0.993
H10 H 0.250 0.993 0.750
H11 H 0.493 0.248 0.752
H12 H 0.493 0.752 0.248
H13 H 0.507 0.248 0.248
H14 H 0.507 0.752 0.752
H15 H 0.750 0.007 0.750
H16 H 0.750 0.250 0.993
H17 H 0.750 0.750 0.007
H18 H 0.750 0.993 0.250
H19 H 0.752 0.248 0.493
H20 H 0.752 0.493 0.248
H21 H 0.752 0.507 0.752
H22 H 0.752 0.752 0.507
H23 H 0.993 0.250 0.750
H24 H 0.993 0.750 0.250
Ir1 Ir 0.257 0.257 0.257
Ir2 Ir 0.257 0.743 0.743
Ir3 Ir 0.743 0.257 0.743
Ir4 Ir 0.743 0.743 0.257
```

***

Record 2
Theoretical X-ray diffraction stick pattern
Compound: Cs2HgCl4
Radiation: Cu Kα (weighted mean of Kα1 and Kα2)
Structure: a cell relaxed with PBE
No peak broadening, texture or thermal motion is included.

Top 10 peaks for 10° ≤ 2θ ≤ 90°, by intensity:
2θ 22.3, intensity 100; 2θ 22.6, intensity 81; 2θ 29.7, intensity 74; 2θ 21.9, intensity 64; 2θ 15.7, intensity 44; 2θ 29.5, intensity 43; 2θ 34.9, intensity 28; 2θ 19.2, intensity 25; 2θ 31.6, intensity 25; 2θ 26.2, intensity 25

Cell and atoms:
```
data_Cs2HgCl4
_chemical_formula_sum 'Cs8 Hg4 Cl16'
_symmetry_space_group_name_H-M 'P 1'
_symmetry_Int_Tables_number 1
_symmetry_space_group_name_Hall 'P 1'
_cell_length_a 7.874
_cell_length_b 10.039
_cell_length_c 13.863
_cell_angle_alpha 90.00
_cell_angle_beta 90.00
_cell_angle_gamma 90.00
loop_
_atom_site_label
_atom_site_type_symbol
_atom_site_fract_x
_atom_site_fract_y
_atom_site_fract_z
Cs1 Cs 0.001 0.235 0.178
Cs2 Cs 0.002 0.371 0.591
Cs3 Cs 0.498 0.629 0.091
Cs4 Cs 0.499 0.765 0.678
Cs5 Cs 0.501 0.265 0.822
Cs6 Cs 0.502 0.129 0.409
Cs7 Cs 0.998 0.871 0.909
Cs8 Cs 0.999 0.735 0.322
Hg1 Hg 0.003 0.466 0.923
Hg2 Hg 0.497 0.534 0.423
Hg3 Hg 0.503 0.034 0.077
Hg4 Hg 0.997 0.966 0.577
Cl1 Cl 0.011 0.073 0.411
Cl2 Cl 0.036 0.218 0.919
Cl3 Cl 0.233 0.428 0.348
Cl4 Cl 0.246 0.064 0.666
Cl5 Cl 0.254 0.936 0.166
Cl6 Cl 0.267 0.572 0.848
Cl7 Cl 0.464 0.782 0.419
Cl8 Cl 0.489 0.927 0.911
Cl9 Cl 0.511 0.427 0.589
Cl10 Cl 0.536 0.282 0.081
Cl11 Cl 0.733 0.072 0.652
Cl12 Cl 0.746 0.436 0.334
Cl13 Cl 0.754 0.564 0.834
Cl14 Cl 0.767 0.928 0.152
Cl15 Cl 0.964 0.718 0.581
Cl16 Cl 0.989 0.573 0.089
```

***

Record 3
Theoretical X-ray diffraction stick pattern
Compound: AlInSb2
Radiation: Cu Kα (weighted mean of Kα1 and Kα2)
Structure: a cell relaxed with PBE
No peak broadening, texture or thermal motion is included.

Top 10 peaks for 10° ≤ 2θ ≤ 90°, by intensity:
2θ 24.0, intensity 100; 2θ 39.7, intensity 48; 2θ 46.8, intensity 32; 2θ 39.6, intensity 25; 2θ 72.0, intensity 16; 2θ 47.1, intensity 15; 2θ 63.1, intensity 12; 2θ 31.1, intensity 9; 2θ 57.3, intensity 8; 2θ 19.5, intensity 8

Cell and atoms:
```
data_AlInSb2
_chemical_formula_sum 'Al1 In1 Sb2'